Saturday, October 16, 2010

No Egos

I know that sometimes people
have to talk over me
I'm not yet sure
if its a problem

I'm sure
I've got a streak of  sadomasochism in me
that would make Freud kick a mule
I'm certain all heroes do

It's not a crime to imagine yourself brave
at least not in my book
Courage always Courage
and there is no unsure thing

I believe volume has power too
but not in the way
that preachers on the capital steps
use it

The real thing
is always an unconscious
byproduct of belief
that what one says is right

It's not a crime to believe something is right
not in my book anyway
Righteous always Righteous
and there is no unsure thing


  1. i was driving down independence, leaving the Holocaust museum, when an ambulance, lights on, appeared in my rear view. I pulled over, but it stopped. I was confused. I waited for a moment; then drove off. The ambulance resumed its trek. Confused, i pulled over again, this time it passed.

    The whole time this thought process was occurring, and the actual event was taking place, K was talking to me.

    yeah, i have a tendency to space out, but this was a different matter.

    anyway, she became upset that i was ignoring her, and that, in turn, upset me, cuz i felt that her indignation was a bit off kilter.

    her Argument: i should have told her i was not listening.

    My rebuttal: i didn't realize i wasn't listening cuz i was distracted by the ambulance, in addition to operating the vehicle; safely.

    K: that's ridiculous

    A: that's how the human brain works

    K: maybe yours

    A: maybe...

What comes next are molecular data, not part of the article.
+++
Record 1
Formula: C13H14BrCl39INO5PS2
Source: the Open Molecules 2025 dataset
Level of theory: the ωB97M-V functional and the def2-TZVPD basis

XYZ file:
```
77
C13H14BrCl39INO5PS2 the ωB97M-V functional and the def2-TZVPD basis
O -0.6330 1.6253 -0.5401
S -1.5985 1.2017 -1.6073
O -2.0716 -0.1633 -1.2923
I -0.1791 1.0270 -3.6161
N -2.6374 2.4180 -1.8744
S -4.2676 2.2391 -1.8754
O -4.8055 2.7819 -3.1686
O -4.8497 3.0810 -0.7798
P -5.2539 0.3535 -1.6567
O -4.5439 -0.8000 -2.6706
Br -4.8521 -0.2221 0.5175
H -5.2579 -1.3461 -3.0026
C -2.2995 4.4897 -6.0263
Cl -2.0705 3.4697 -7.4575
Cl -2.0307 3.5691 -4.5489
Cl -1.2259 5.8960 -6.0926
H -3.3240 4.8441 -6.0243
C -6.5054 4.5094 1.9563
Cl -7.9029 3.4300 1.8650
Cl -6.8440 5.8743 3.0335
Cl -5.0742 3.6321 2.4886
H -6.3117 4.8982 0.9630
C 0.6074 2.0305 2.6746
Cl -0.7119 1.6896 3.8024
Cl 1.0837 3.7314 2.7700
Cl 1.9913 0.9785 3.0024
H 0.2543 1.8298 1.6655
C -0.5633 -2.9586 -0.3748
Cl -1.8871 -4.1052 -0.1457
Cl -0.1765 -2.1569 1.1503
Cl 0.8632 -3.7802 -1.0253
H -0.8789 -2.2025 -1.0871
C 1.5432 0.2588 -7.8751
Cl 1.3445 -1.4870 -8.0673
Cl 0.5470 0.8585 -6.5413
Cl 3.2467 0.6642 -7.6113
H 1.2117 0.7359 -8.7813
C 2.5168 -2.9873 4.3393
Cl 1.0279 -2.0850 4.0566
Cl 2.4204 -4.6073 3.6423
Cl 3.9060 -2.1100 3.6830
H 2.6522 -3.0882 5.4060
C 5.7707 1.7607 1.4911
Cl 6.2268 0.4271 2.5598
Cl 6.9746 1.9679 0.2109
Cl 4.1662 1.4967 0.8083
H 5.7432 2.6701 2.0794
C 5.9812 -6.9062 2.9269
Cl 7.0048 -6.9544 1.4856
Cl 5.3321 -5.2852 3.1824
Cl 4.6701 -8.0862 2.7981
H 6.5902 -7.1689 3.7836
C 2.7343 -4.6200 8.2732
Cl 3.5536 -5.4062 6.9152
Cl 3.9148 -4.0123 9.4423
Cl 1.6918 -3.3112 7.7066
H 2.1119 -5.3563 8.7675
C 3.7178 0.2672 -11.6460
Cl 4.6327 -0.7967 -10.5748
Cl 2.7217 -0.6794 -12.7572
Cl 2.7149 1.3964 -10.7220
H 4.4228 0.8450 -12.2314
C 1.9929 0.2959 9.2818
Cl 1.6599 -0.0969 7.5916
Cl 2.6063 -1.1215 10.1438
Cl 3.1376 1.6378 9.3945
H 1.0644 0.6015 9.7491
C -4.1148 7.7234 -3.5550
Cl -4.4719 7.4151 -5.2611
Cl -3.5669 6.2557 -2.7473
Cl -2.9156 9.0158 -3.3973
H -5.0295 8.0522 -3.0767
C -3.5936 -5.9701 2.8710
Cl -3.9915 -6.3547 1.1915
Cl -3.0144 -7.4140 3.7140
Cl -2.4000 -4.6727 2.9648
H -4.4987 -5.6335 3.3620
```

HOMO level: -6.732 eV
DFT total energy: -22891.63254 Ha
total charge: -1

These are the Löwdin partial charges, in e, on atoms 1 to 4: -0.456 0.167 -0.490 0.614

=====

Record 2
Formula: C13H14BrF
Source: the Open Molecules 2025 dataset
Level of theory: the ωB97M-V functional and the def2-TZVPD basis

XYZ file:
```
29
C13H14BrF the ωB97M-V functional and the def2-TZVPD basis
C -2.0746 -0.1836 2.9918
C -1.1703 -1.1796 2.2720
C -0.1706 -0.4966 1.3972
C 0.2509 -0.9632 0.2227
F -0.2401 -2.1478 -0.2136
C 1.2893 -0.3755 -0.6249
C 2.3198 0.3447 -0.0111
C 3.3647 0.8818 -0.7337
C 3.4054 0.7233 -2.1090
C 2.3969 0.0246 -2.7440
C 1.3556 -0.5284 -2.0133
Br 0.0460 -1.4809 -3.0170
H -2.6591 0.3875 2.2771
H -1.4847 0.5037 3.5913
H -2.7625 -0.7065 3.6474
H -1.7681 -1.8705 1.6768
H -0.6303 -1.7695 3.0207
H 0.2223 0.4420 1.7554
+++
The molecular data stop here.

    At this point i brought out the ego argument. and claimed that her's was way too big; way too big. and that who gave a fuck if i didn't hear that story at that particular time. and that my main focus was to keep us alive on these crazy dc streets. Maybe too harsh in retrospect, definitely come off as an asshole in print, but whatevs, i stick by my main point...

    indignation and its role in ego.
    defensiveness and its role in ego.
    my biased retelling of this event, and its role with ego.

    and why the fuck did that ambulance stop to begin with?

  2. I think you did the right thing
    in paying attention to the road
    but I wonder if
    "i didn't realize i wasn't listening"
    really holds any water

    Ego is the part of us
    which acts according to
    the Reality Principle

    It is through the Ego
    that we experience
    Conscious Awareness

    Ego is not the problem
    Ego is not a bad word

    Ego is the Rational part of our Psyche

    Current Ideology
    would have us believe otherwise

    Our Ego is subservient to Ideology
    Our Ego is also subservient to our Super-Ego

    In the act of Submission
    Ideology and Super-Ego
    function as One

    Your condemning of one Ego
    the Ideological Suppression of Ego
    in that both suppress the idea of Ego

    The Super-Ego dominates our Psyche
    and we are not at the wheel

  3. holds water like a pair of hands...

    ego is necessary, the trick is meta-awareness, which i was trying to coyly hint at with my story.

    k's ego was hurt by my actions in choosing to pay attention to my environment. my ego was hurt by her indignation, as if i made the wrong decision.

    we all need a stiff back bone, and, sometimes, i wish mine was stiffer.

    but, also, civil discourse requires that meta-awareness of 'the self,' that willingness to not defend yourself for the sake of defending yourself, your "self"

    the self: a bundle of abstract concepts that do not exist independently from everything else

    but, so i've heard, the brain can only focus on one thing at a time; and at the time of the ambulance, i literally tuned out all other noises; one of those noises being K's voice. therefore, how could i know that K was talking if no information of 'her talking' was being processed?

    this is the "evidence" i used to justify my "instinctual" "choice" to pay attention to other events that, in my "opinion," were of greater importance. so, as i saw, her indignation of being cross(ed) was erroneous; given the circumstances.

    she disagreed

    she also did not believe my evidence

    i questioned her incredulity as an act of pure ego, not based in reason, but solely on the sake of defending herself

    (btw, debating via print is way more fun for me than trying to talk over one another)

    but, at the end of the day...

    i am no scientist

    i am no expert

    i only carry with me vague notions of what Freud meant by id, ego, super ego in relation to what i know about Buddhist philosophy and concepts of the "self"

    i am working to get to a point where arguing is seen as a constructive collaborative effort, with the shared goal of deeper understanding

    i can't negate Ego's role

    i can attempt to understand it

    and seriously, why the fuck did that ambulance stop!!!!?????!!!!!??????

  4. "we all need a stiff back bone, and, sometimes, i wish mine was stiffer"


  5. Alright
    Let's hit this like it we mean it
    I'm going to reorganize your example
    according to assumptions
    (assumptions are all we have)
    I will outline the locus of each response

    So don't get upset
    if it looks like I'm saying something
    that you just can't abide
    it's no longer about you
    leave your ego out of it

    Think of everything which is said
    as an object
    floating in space
    neither product of mind nor sense
    but something tangible
    though still out of reach

    I won't hold too true to Freud
    its not about him either
    but I'll use the basic format of his psyche

    The psyche consists of three parts:
    Id, Ego, and Superego

    The Id is your base nature
    that which is purely bestial about you
    your animalness

    It does not then define you as human
    it is that part of your existence
    left over from your furry days

    The Id acts according to the dictates of
    The Pleasure Principle
    which seeks to avoid pain
    in the light of our baser instincts

    The Id is the drive to copulate
    the hunger in your belly
    the primordial survival instinct
    the seemingly irrational impulse
    to bite the arm that chokes you

    It is the consciousness we share with all animals
    it is arguable if any animals have an Ego
    (maybe some of the larger brained mammals)

    The Ego is your rational consciousness
    It weighs out options
    determines the quality and quantity of things

    The Ego acts according to the dictates of
    The Reality Principle
    seeking to appease the Id
    in ways which will insure the greatest benefit

    The Ego interprets the primitive signals of the Id

    So you and I can say that the urge to make babies
    is going to end up tied into a rubber

    It is partly this process of interpretation
    which defines the Self
    the rest is your Ego's interpretation
    of the hyper-rational impulses of the Superego

    (and this is where Freud and I differ most greatly)
    Freud thought the Superego
    was an inborn part of the psyche
    which imposed a higher set of ideals on the Ego
    countering the impulses of the Id
    by persistently socializing the Individual

    That's pure bupkis
    The Superego is an imposition on the Ego
    by the Social Totality
    In this way
    The Superego acts according to
    The Social Principle
    which aims to conform
    the Ego's interpretation of the Id
    to existing social norms

    (I have a fairly long paper
    explaining how the Social Totality
    becomes incorporated into the Psyche
    I wont try and paraphrase it here
    but it isn't hard to see it working
    The Id wants babies
    so the Ego must find a suitable mate
    the Social Principle dictates certain protocol
    which the Ego must obey
    in acting according to the Reality Principle
    The secret is in how
    the Reality Principle
    is indistinguishable
    from the Social Principle
    in any social system)

    So the Self is the manifestation of the Ego
    mediating between the Id and Superego

    The Self manifests as an Avatar
    within the Social Totality
    the manifestation of the Ego
    as Object
    through the Subjectivity of the Other

    The Ego must acknowledge the Avatar
    again, according to the Reality Principle
    this acknowledgment of
    the Self as Object is Self-Consciousness

    Self-Consciousness is thus
    the Ego's acknowledgment of its Self
    within the Social Totality

    Which is to say
    Self-Consciousness is imposed upon by the Superego
    Self-Consciousness is not the Ego
    the Ego's manifestation is the Self
    as a result
    Self-Consciousness is not Consciousness of the Self
    due to the imposition of the Superego

    I believe the goal is (actual) Self-Consciousness
    which is the liberation of the Ego
    from the imposition of the Superego

    Only then can the Ego
    act according to the Reality Principle
    and thereby fulfill its humanity
    in interpreting the Id
    according to the will of the Self

  6. OK!

    The Rhetorical Situation
    1. The negotiation with the Social Totality
    2. The communication of the Other
    3. The question of Self-Consciousness

    You were driving
    the streets were hectic
    an ambulance moved unpredictably

    Your will to survive
    stemming from the Id
    demanded the attention of your Ego

    Whilst running from a Rhino
    K attempts to seek pleasure from you
    as the Ego is clearly functioning
    in manifesting K's Self
    then too is K's Self-Consciousness
    (the Self as Object within the Social Totality)

    In not acknowledging K's Self
    you destabilize her Self-Consciousness

    By failing to manifest yourself
    within the Social Totality
    in which her Self is apparent
    her Self cannot manifest
    according to the dictates of her Ego
    for she has no access to the Social Totality
    (the Social Totality requires an Other)

    what makes things complicated
    is how K's Ego interprets
    the impulses of the Superego
    and thereby
    defines the qualifiable parameters
    of the Social Totality

    You interpreted the Superego
    as requiring your complete attention
    K did not

    This could be the simple result of Subjectivity
    as your situation (running from Rhinos)
    imposed upon your Ego
    an aspect of the Social Totality
    entirely different than K's

    But I don't think that is the whole story

    You question each other's
    Consciousness of Self
    (already a mistake
    since all you both really had
    was Self-Consciousness
    which by its nature
    is not the Truth)

    Feeling displeasure
    K dictates that your role
    (an interpretation of your Self in the Social Totality)
    should be in the prevention of her displeasure

    This reads like passive aggression
    for in dictating your role
    K cannot undo the displeasure
    only insure against future displeasure
    this does not ease the displeasure
    (which the Ego demands)
    in this way
    by demanding you ease future displeasure
    K was actually instructing you
    to end the displeasure which existed at that moment
    (the demand of the Ego)

    K felt displeasure
    from your lack of acknowledgement
    proceeded to dictate your role
    (assuming K has not liberated the Ego)
    are both determined by the Superego

    Not the Ego as you presumed
    which might seem insignificant
    but it is not
    for the Superego
    far from being irrational
    is Hyper-rational
    its reasonings are beyond the Ego

    As I stated earlier
    I still wonder if
    "i didn't realize i wasn't listening"
    really holds any water

    Admitting that your Ego
    negotiated with the Social Totality
    in the best possible way
    in paying full attention to the Rhino

    In the light of the Superego
    you did not communicate effectively
    with K

    It would make sense if you had announced
    (perhaps after the first time the Rhino
    began acting so unpredictably)
    that your Ego demanded your full attention
    in negotiating with the Social Totality
    which is to say
    that K was not your top priority

    I would guess that the Superego
    dictated that you making said statement
    would not have produced the best results

    So you acted
    not according to your Ego
    which would rationally have lead you
    to include K
    in your conception of the Social Totality
    but the Superego
    dictated an action contrary to your Id
    resulting in the irrational occurrence of displeasure

    Hopefully that helps
